- - -
8
Lattice="6.2778 0.0000 0.0000 -1.4375 6.1306 0.0000 -2.4955 -2.9440 4.9768" Properties=species:S:1:pos:R:3 comment="SrAg2GeSeS3 | OQMD | PBE-GGA | relaxed" final_energy_ev_per_cell=-33.574 pbc="T T T"
S 2.7148 4.5513 2.5375
Ge 1.9127 -1.4361 2.5366
Se -0.3248 3.5950 0.5717
S 1.2611 0.7129 2.4726
S 1.0566 -2.4367 4.3562
Sr 4.3043 1.5728 2.4717
Ag -1.4986 -1.8146 4.9747
Ag 1.3157 1.9925 4.9632
- - -

What is needed: search the block earlier on for the word "Sr" and quote each line that has it.

Sr 4.3043 1.5728 2.4717